Veoh Defeats Universal

Online video operator Veoh won an important court battle Sept. 11 when U.S. District Judge Howard Matz dismissed Universal Music Group’s copyright infringement lawsuit filed against it.

The issue was whether Veoh supported and induced infringing activity on its site. That’s what Universal contended when it filed the lawsuit in 2007.

Like YouTube, Veoh allows users to upload video. Although its terms of use explicitly prohibits infringing video, it should come as no surprise some users upload video footage that doesn’t belong to them, including clips of movies and TV shows as well as music videos.

It was the music video uploading that caught Universal’s attention, and ultimately led to the company’s lawsuit against Veoh, which counts Time Warner, Intel, Adobe Systems and Goldman Sachs among its many high-profile investors.

But Veoh had a good defense – at least good enough to persuade U.S. District Judge Howard Matz to dismiss the lawsuit. In defending itself against Universal’s allegations, Veoh claimed it was in full compliance with the Digital Millennium Copyright Act of 1998.

The DMCA, which covers a slew of situations that weren’t even imagined 11 years ago, requires providers to remove copyrighted content once it receives “take down” notices from rights holders.

That may have been pretty straightforward in 1998 when companies providing Web-hosting services worried they could be sued for the actions of their users. The concern during that time was that a hosting company might take it in the shorts if one of their users decided to post illicit MP3 files on their Web sites. By eliminating that liability – that is, as long as providers removed copyrighted material upon notification by the rights holders – Web companies were able to concentrate on hosting sites instead of policing them.

But 11 years later the DMCA’s provider clause is often cited by online companies operating services where users can upload pretty much anything under the sun. Like Veoh, if rights holders complain, the companies remove the infringing material from their sites.

But the key element in this equation is copyright holders must complain and issue takedown orders whenever they find their intellectual property posted on sites such as Veoh or YouTube. However, some entertainment companies insist such Web sites shouldn’t wait for the complaint, but instead should actively police their online real estate for copyright violations.

The problem, copyright holders contend, is that a rights holder could issue a takedown notice only to discover someone else has re-posted the infringing material, leaving the rights holders no option except to issue more notices.

Although that might not sound like an effective way to handle copyright violations, the alternative suggested by many rights holders – that companies operating sites like YouTube or Veoh must actively search for and remove copyrighted material – may cause more problems than it solves, if only because such efforts might be prohibitively expensive.

But then, so are lawsuits.

“We’ve been dragging a giant boulder on a chain. This frees us,” said Veoh CEO Dmitry Shapiro, claiming it cost his company “many millions of dollars” to defend itself against the lawsuit. “This lawsuit was simply Universal’s attempt to prevent innovation and shut down the company.”

Judge Matz’s dismissal of the lawsuit is not binding, meaning it doesn’t set a precedent for other courts to follow. But it might influence other courts to take similar action. Viacom is pressing a lawsuit against YouTube and parent company Google, claiming the two companies have the manpower and technology to block users from posting copyrighted material.

In response, Google and YouTube have claimed innocence, saying they comply with – you guessed it – the Digital Millennium Copyright Act.

Meanwhile, Universal says it will appeal Matz’s ruling.

********
# 1
For Na2PRuCO7, a DFT-relaxed cell (PBE, the Materials Project) gives the theoretical powder XRD pattern in this record (Cu Kα X-rays).
No peak broadening, texture or thermal motion is included.

Structural model:
a = 5.2476 Å, b = 6.5604 Å, c = 9.1332 Å
α = 90.00°, β = 91.18°, γ = 90.00°
Space group P2_1/m (No. 11)
Inequivalent atoms, fractional coordinates:
Na1 0.2362 0.0047 0.2617 x4
P1 0.2914 0.7500 0.9228 x2
Ru1 0.2184 0.2500 0.8452 x2
C1 0.2751 0.2500 0.5717 x2
O1 0.0561 0.2500 0.6413 x2
O2 0.1587 0.7500 0.0731 x2
O3 0.2087 0.5618 0.8297 x4
O4 0.2900 0.2500 0.4353 x2
O5 0.4125 0.2500 0.0540 x2
O6 0.4720 0.2500 0.6652 x2

Top 10 peaks for 2θ = 15–90°, by angle:
2θ (°), intensity, (hkl)
16.64, 100, 0 1 1
19.69, 31, 1 0 1
21.69, 60, 1 1 0
25.60, 60, 1 0 -2
26.14, 25, 1 0 2
27.19, 52, 0 2 0
33.60, 46, 1 2 -1
33.78, 47, 1 2 1
34.18, 42, 2 0 0
37.08, 29, 1 1 3

=====

# 2
For NaSbPCO7, a DFT-relaxed cell (PBE, the Materials Project) gives the theoretical powder XRD pattern in this record (Cu Kα X-rays).
No peak broadening, texture or thermal motion is included.

Structural model:
a = 5.5471 Å, b = 6.6630 Å, c = 9.2232 Å
α = 90.00°, β = 91.26°, γ = 90.00°
Space group P2_1 (No. 4)
Inequivalent atoms, fractional coordinates:
Na1 0.2380 0.0000 0.2163 x2
Sb1 0.2081 0.7740 0.6482 x2
P1 0.2787 0.2699 0.5739 x2
C1 0.2784 0.7532 0.9229 x2
O1 0.0611 0.7581 0.8531 x2
O2 0.1671 0.2526 0.4170 x2
O3 0.1683 0.4527 0.6545 x2
O4 0.2007 0.0891 0.6695 x2
O5 0.3083 0.7628 0.0546 x2
O6 0.4455 0.7930 0.4378 x2
O7 0.4585 0.7410 0.8272 x2

Top 10 peaks for 2θ = 15–90°, by angle:
2θ (°), intensity, (hkl)
16.41, 100, 0 1 1
18.49, 62, 1 0 -1
18.85, 30, 1 0 1
20.84, 64, 1 1 0
24.84, 26, 1 0 -2
25.39, 53, 1 0 2
26.76, 61, 0 2 0
32.28, 27, 2 0 0
32.72, 25, 1 2 -1
35.72, 30, 1 1 -3

=====

# 3
For Na2ScPCO7, a DFT-relaxed cell (PBE, the Materials Project) gives the theoretical powder XRD pattern in this record (Cu Kα X-rays).
No peak broadening, texture or thermal motion is included.

Structural model:
a = 5.3052 Å, b = 6.7478 Å, c = 9.0597 Å
α = 90.00°, β = 90.41°, γ = 90.00°
Space group P2_1/m (No. 11)
Inequivalent atoms, fractional coordinates:
Na1 0.2356 0.0006 0.2223 x4
Sc1 0.2172 0.2500 0.6427 x2
P1 0.2907 0.7500 0.5757 x2
C1 0.2686 0.2500 0.9266 x2
O1 0.0470 0.2500 0.8617 x2
O2 0.1684 0.7500 0.4176 x2
O3 0.2085 0.5619 0.6593 x4
O4 0.2992 0.2500 0.0647 x2
O5 0.4159 0.2500 0.4426 x2
O6 0.4598 0.2500 0.8330 x2

Top 10 peaks for 2θ = 15–90°, by angle:
2θ (°), intensity, (hkl)
16.38, 79, 0 1 1
23.43, 79, 1 1 -1
25.77, 41, 1 0 -2
25.96, 100, 1 0 2
26.42, 81, 0 2 0
32.99, 89, 1 2 1
33.11, 72, 0 2 2
33.79, 80, 2 0 0
53.57, 47, 1 0 5
54.39, 42, 0 4 0

=====

# 4
For NaSiPCO7, a DFT-relaxed cell (PBE, the Materials Project) gives the theoretical powder XRD pattern in this record (Cu Kα X-rays).
No peak broadening, texture or thermal motion is included.

Structural model:
a = 5.0082 Å, b = 6.0366 Å, c = 9.5488 Å
α = 90.00°, β = 92.92°, γ = 90.00°
Space group P2_1 (No. 4)
********
**Back to the piece:**

Facebook’s Latest Milestone

Facebook has reached a point few in its business have yet to achieve – the company recently made more money than it spent.
Perhaps the person most surprised at this development is Facebook founder and CEO Mark Zuckerberg. That’s because the company had predicted it wouldn’t reach that particular benchmark until next year.

But reach it they did, as Zuckerberg noted on a Facebook blog posting, writing that his company had become “cash-flow positive” during its second quarter ending in June.

“This is important to us,” Zuckerberg wrote, “because it sets Facebook up to be a strong independent service for the long term.”
Zuckerberg’s statement merely means Facebook made more money than it spent during the second quarter and is not an indication the company might have actually made a profit. Other expenses, such as taxes and debt payments, could easily eat up all that extra cash Zuckerberg discovered at the end of the quarter.

But it’s a good sign for a company that has been valued in the billions although it hasn’t actually achieved profitability nor has it made a public stock offering.

On the other hand, maybe Facebook’s talent lies not in making a profit, but in accruing investors. The company has raised more than $600 million since it launched five years ago, and it’s latest big cash injection happened only a few months ago when Russian Internet investor Digital Sky Technologies invested $200 million in exchange for a 2 percent stake, valuing Facebook at $10 billion.

When Zuckerberg wasn’t blogging about money he was talking up Facebook’s user base, which now totals 300 million users worldwide.

If only Zuckerberg could talk those users into paying Facebook one dollar apiece, then he might have some real profit to blog about.